• Contents:
+++
Formula: C3H3OP
Source: the OMol25 dataset
Level of theory: ωB97M-V with the def2-TZVPD basis set

Summary:
Energy relative to the best compared isomer or geometry (same formula, charge and spin) = 3.6498 eV
Structure (SMILES) = OP=c1cc1
Net charge = 0
HOMO level = -8.227 eV
LUMO level = 0.71 eV
Molar mass = 86.03 g/mol
Kohn-Sham gap = 8.932 eV

```
8
Properties=species:S:1:pos:R:3:forces:R:3:lowdin_charge:R:1
O 2.053326 1.059180 0.134057 0.7 2.2 -1.0 -0.433
P 1.779818 -0.518186 0.029912 0.4 -1.6 0.3 0.767
C 0.169502 -0.548463 0.114037 -4.2 1.2 -0.3 -0.471
C -1.190738 -0.992889 0.072975 0.2 -1.7 1.1 -0.166
C -1.349631 0.293138 0.146272 4.3 -4.9 -0.1 0.124
H 1.727062 1.460889 -0.696949 0.3 0.1 0.8 0.043
H -1.628049 -1.993759 0.225629 -0.3 0.8 -0.5 0.107
H -1.561288 1.240092 -0.025931 -1.4 3.9 -0.3 0.029
```
Positions in Å, forces in eV/Å.

***

Formula: C3H3OS2
Source: the OMol25 dataset
Level of theory: ωB97M-V with the def2-TZVPD basis set

Summary:
Energy relative to the best compared isomer or geometry (same formula, charge and spin) = 0.6055 eV
Structure (SMILES) = CC(=S)C([O-])=S
Net charge = -1
HOMO level = -3.679 eV
LUMO level = 3.63 eV
Molar mass = 119.19 g/mol
Kohn-Sham gap = 7.314 eV

```
9
Properties=species:S:1:pos:R:3:forces:R:3:lowdin_charge:R:1
C -0.124297 0.108246 -0.198754 1.2 -1.4 2.0 -0.227
C -1.529084 0.693584 0.028001 0.3 0.2 -1.4 -0.879
S -1.944940 2.098387 -0.755262 0.1 -0.3 0.7 0.520
C -2.596407 -0.185830 0.742552 2.2 0.0 -2.1 -1.060
O -3.039877 -0.010331 1.830628 -0.9 0.3 1.6 -0.040
S -2.747534 -1.382726 -0.475308 -0.8 -0.5 0.1 0.501
H -0.162879 -1.026114 -0.098669 0.0 1.5 0.1 0.043
H 0.606307 0.485530 0.622503 -1.2 -0.4 -1.1 0.087
H 0.415149 0.264373 -1.146780 -0.9 0.6 0.1 0.054
```
Positions in Å, forces in eV/Å.

***

Formula: C3H3OV
Source: the OMol25 dataset
Level of theory: ωB97M-V with the def2-TZVPD basis set

Summary:
Energy relative to the best compared isomer or geometry (same formula, charge and spin) = 0.0000 eV
Spin multiplicity = 5
Net charge = 0
HOMO level (alpha / beta) = -7.896 / -9.144 eV
LUMO level (alpha / beta) = -0.52 / -1.23 eV
Molar mass = 106.00 g/mol
Kohn-Sham gap (alpha / beta) = 7.380 / 7.918 eV

```
8
Properties=species:S:1:pos:R:3:forces:R:3:lowdin_charge:R:1
C -0.905844 -0.268242 -0.889167 -1.3 0.2 1.5 -0.236
C -2.007045 -0.732201 0.073184 0.2 -0.5 0.2 -0.209
C -1.275750 0.564112 0.171117 -0.3 -0.1 -2.2 -0.173
H -1.884127 -1.505675 0.844350 0.2 0.2 -0.4 0.080
H -3.022028 -0.750694 -0.349885 0.2 0.3 0.2 0.086
H -1.710732 1.564833 0.250199 1.0 -0.2 0.5 0.113
O 0.831569 0.693298 0.826178 -0.4 -1.3 -1.5 -0.514
V 1.074090 -0.386227 -0.678872 0.4 1.5 1.8 0.854
```
Positions in Å, forces in eV/Å.

***

Formula: C3H4
Source: the OMol25 dataset
Level of theory: ωB97M-V with the def2-TZVPD basis set

Summary:
Energy relative to the best compared isomer or geometry (same formula, charge and spin) = 2.7186 eV
Net charge = 0
HOMO level = -9.271 eV
LUMO level = 1.20 eV
Molar mass = 40.07 g/mol
Kohn-Sham gap = 10.472 eV

```
7
Properties=species:S:1:pos:R:3:forces:R:3:lowdin_charge:R:1
C -0.612247 -0.737468 0.083442 -1.5 -1.6 -0.5 -0.085
C -0.591532 0.550123 0.111542 -3.3 5.7 -0.8 -0.178
C 0.696522 -0.021696 0.108992 4.7 -0.6 -2.1 -0.268
H -1.147753 -1.713040 -0.158960 0.9 1.7 0.6 0.118
H -1.080607 1.872999 -0.155770 1.2 -4.8 1.1 0.214
H 1.451845 -0.036790 0.943747 -1.1 0.0 -0.5 0.086
H 1.283773 0.085874 -0.932996 -0.9 -0.4 2.1 0.113
```
Positions in Å, forces in eV/Å.

***

Formula: C3H4AgO4
Source: the OMol25 dataset
Level of theory: ωB97M-V with the def2-TZVPD basis set

Summary:
Energy relative to the best compared isomer or geometry (same formula, charge and spin) = 1.2196 eV
Spin multiplicity = 2
Net charge = 0
HOMO level (alpha / beta) = -8.660 / -8.656 eV
LUMO level (alpha / beta) = -0.68 / -1.90 eV
Molar mass = 211.93 g/mol
Kohn-Sham gap (alpha / beta) = 7.982 / 6.757 eV

```
12
Properties=species:S:1:pos:R:3:forces:R:3:lowdin_charge:R:1
+++

• Activity:
Next, set down everything further up with every line break kept.

• Completed:
Formula: C3H3OP
Source: the OMol25 dataset
Level of theory: ωB97M-V with the def2-TZVPD basis set

Summary:
Energy relative to the best compared isomer or geometry (same formula, charge and spin) = 3.6498 eV
Structure (SMILES) = OP=c1cc1
Net charge = 0
HOMO level = -8.227 eV
LUMO level = 0.71 eV
Molar mass = 86.03 g/mol
Kohn-Sham gap = 8.932 eV

```
8
Properties=species:S:1:pos:R:3:forces:R:3:lowdin_charge:R:1
O 2.053326 1.059180 0.134057 0.7 2.2 -1.0 -0.433
P 1.779818 -0.518186 0.029912 0.4 -1.6 0.3 0.767
C 0.169502 -0.548463 0.114037 -4.2 1.2 -0.3 -0.471
C -1.190738 -0.992889 0.072975 0.2 -1.7 1.1 -0.166
C -1.349631 0.293138 0.146272 4.3 -4.9 -0.1 0.124
H 1.727062 1.460889 -0.696949 0.3 0.1 0.8 0.043
H -1.628049 -1.993759 0.225629 -0.3 0.8 -0.5 0.107
H -1.561288 1.240092 -0.025931 -1.4 3.9 -0.3 0.029
```
Positions in Å, forces in eV/Å.

***

Formula: C3H3OS2
Source: the OMol25 dataset
Level of theory: ωB97M-V with the def2-TZVPD basis set

Summary:
Energy relative to the best compared isomer or geometry (same formula, charge and spin) = 0.6055 eV
Structure (SMILES) = CC(=S)C([O-])=S
Net charge = -1
HOMO level = -3.679 eV
LUMO level = 3.63 eV
Molar mass = 119.19 g/mol
Kohn-Sham gap = 7.314 eV

```
9
Properties=species:S:1:pos:R:3:forces:R:3:lowdin_charge:R:1
C -0.124297 0.108246 -0.198754 1.2 -1.4 2.0 -0.227
C -1.529084 0.693584 0.028001 0.3 0.2 -1.4 -0.879
S -1.944940 2.098387 -0.755262 0.1 -0.3 0.7 0.520
C -2.596407 -0.185830 0.742552 2.2 0.0 -2.1 -1.060
O -3.039877 -0.010331 1.830628 -0.9 0.3 1.6 -0.040
S -2.747534 -1.382726 -0.475308 -0.8 -0.5 0.1 0.501
H -0.162879 -1.026114 -0.098669 0.0 1.5 0.1 0.043
H 0.606307 0.485530 0.622503 -1.2 -0.4 -1.1 0.087
H 0.415149 0.264373 -1.146780 -0.9 0.6 0.1 0.054
```
Positions in Å, forces in eV/Å.

***

Formula: C3H3OV
Source: the OMol25 dataset
Level of theory: ωB97M-V with the def2-TZVPD basis set

Summary:
Energy relative to the best compared isomer or geometry (same formula, charge and spin) = 0.0000 eV
Spin multiplicity = 5
Net charge = 0
HOMO level (alpha / beta) = -7.896 / -9.144 eV
LUMO level (alpha / beta) = -0.52 / -1.23 eV
Molar mass = 106.00 g/mol
Kohn-Sham gap (alpha / beta) = 7.380 / 7.918 eV

```
8
Properties=species:S:1:pos:R:3:forces:R:3:lowdin_charge:R:1
C -0.905844 -0.268242 -0.889167 -1.3 0.2 1.5 -0.236
C -2.007045 -0.732201 0.073184 0.2 -0.5 0.2 -0.209
C -1.275750 0.564112 0.171117 -0.3 -0.1 -2.2 -0.173
H -1.884127 -1.505675 0.844350 0.2 0.2 -0.4 0.080
H -3.022028 -0.750694 -0.349885 0.2 0.3 0.2 0.086
H -1.710732 1.564833 0.250199 1.0 -0.2 0.5 0.113
O 0.831569 0.693298 0.826178 -0.4 -1.3 -1.5 -0.514
V 1.074090 -0.386227 -0.678872 0.4 1.5 1.8 0.854
```
Positions in Å, forces in eV/Å.

***

Formula: C3H4
Source: the OMol25 dataset
Level of theory: ωB97M-V with the def2-TZVPD basis set

Summary:
Energy relative to the best compared isomer or geometry (same formula, charge and spin) = 2.7186 eV
Net charge = 0
HOMO level = -9.271 eV
LUMO level = 1.20 eV
Molar mass = 40.07 g/mol
Kohn-Sham gap = 10.472 eV

```
7
Properties=species:S:1:pos:R:3:forces:R:3:lowdin_charge:R:1
C -0.612247 -0.737468 0.083442 -1.5 -1.6 -0.5 -0.085
C -0.591532 0.550123 0.111542 -3.3 5.7 -0.8 -0.178
C 0.696522 -0.021696 0.108992 4.7 -0.6 -2.1 -0.268
H -1.147753 -1.713040 -0.158960 0.9 1.7 0.6 0.118
H -1.080607 1.872999 -0.155770 1.2 -4.8 1.1 0.214
H 1.451845 -0.036790 0.943747 -1.1 0.0 -0.5 0.086
H 1.283773 0.085874 -0.932996 -0.9 -0.4 2.1 0.113
```
Positions in Å, forces in eV/Å.

***

Formula: C3H4AgO4
Source: the OMol25 dataset
Level of theory: ωB97M-V with the def2-TZVPD basis set

Summary:
Energy relative to the best compared isomer or geometry (same formula, charge and spin) = 1.2196 eV
Spin multiplicity = 2
Net charge = 0
HOMO level (alpha / beta) = -8.660 / -8.656 eV
LUMO level (alpha / beta) = -0.68 / -1.90 eV
Molar mass = 211.93 g/mol
Kohn-Sham gap (alpha / beta) = 7.982 / 6.757 eV

```
12
Properties=species:S:1:pos:R:3:forces:R:3:lowdin_charge:R:1